Alliance of Natural History Museums of Canada Launch Miracle

October 24, 2011
Montreal frog expert receives national award from
Canadian museum network
OTTAWA – Professor David M. Green of Montreal, noted conservationist and one of Canada’s foremost
experts on amphibians, is the distinguished recipient of the 2011 Bruce Naylor Award. This national
award, presented by the Alliance of Natural History Museums of Canada (ANHMC), recognizes
exceptional contributions to the museum-based study of natural history in Canada.
Green is currently a professor at McGill University and Director of the Redpath Museum. He has made
his mark over a 30-year career as a scientist, museum administrator, teacher and conservation advocate.
Green’s research zeroes in on the study of frogs and toads as a way of understanding the relationships of
species, the structure of populations and mechanisms of evolutionary change. His long-term studies of
Fowler’s Toads have contributed to the species being listed as an endangered species. He has authored
more than 120 scientific articles, books and publications, mainly about frogs and other amphibians.
“I was lucky to have discovered a passion for wildlife when I was very young, and I have long considered
it a privilege to able to pursue that passion professionally,” he says. His academic path has taken him
across Canada, from undergraduate studies at UBC to a doctorate at the University of Guelph. After postdoctoral work at the University of California at Berkeley, he had brief stints as a biology professor at
[Data records, kept here for reference]
<<<
# 1
The following is a PBE calculation of Eu3InP3 after structural relaxation, from Materials Project.

a = 4.281 Å, b = 12.633 Å, c = 13.460 Å
α = 90.00°, β = 90.00°, γ = 90.00°
Sites, in units of the cell vectors:
1 In 0.250 0.050 0.300
2 In 0.750 0.950 0.700
3 In 0.750 0.450 0.800
4 In 0.250 0.550 0.200
5 Eu 0.750 0.643 0.004
6 Eu 0.750 0.143 0.496
7 Eu 0.750 0.926 0.106
8 Eu 0.250 0.074 0.894
9 Eu 0.250 0.774 0.795
10 Eu 0.750 0.226 0.205
11 Eu 0.750 0.426 0.394
12 Eu 0.250 0.274 0.705
13 Eu 0.250 0.357 0.996
14 Eu 0.250 0.574 0.606
15 Eu 0.750 0.726 0.295
16 Eu 0.250 0.857 0.504
17 P 0.250 0.550 0.859
18 P 0.250 0.596 0.389
19 P 0.750 0.404 0.611
20 P 0.250 0.096 0.111
21 P 0.250 0.050 0.641
22 P 0.750 0.904 0.889
23 P 0.750 0.450 0.141
24 P 0.250 0.746 0.128
25 P 0.750 0.254 0.872
26 P 0.750 0.950 0.359
27 P 0.250 0.246 0.372
28 P 0.750 0.754 0.628

total DFT energy (no corrections): -8.094 eV/atom

# 2
The following is a PBE calculation of ZrCu after structural relaxation, from Materials Project.

a = 4.138 Å, b = 3.242 Å, c = 5.510 Å
α = 74.09°, β = 90.00°, γ = 90.00°
Sites, in units of the cell vectors:
1 Cu 0.250 0.059 0.362
2 Cu 0.750 0.941 0.638
3 Zr 0.750 0.647 0.194
4 Zr 0.250 0.353 0.806

total DFT energy (no corrections): -6.449 eV/atom

# 3
The following is a PBE calculation of Te7RhCl7 after structural relaxation, from Materials Project.

a = 9.555 Å, b = 10.410 Å, c = 11.758 Å
α = 68.82°, β = 66.66°, γ = 66.83°
Sites, in units of the cell vectors:
1 Cl 0.980 0.843 0.467
2 Cl 0.681 0.325 0.715
3 Cl 0.792 0.534 0.795
4 Cl 0.197 0.503 0.691
5 Cl 0.650 0.743 0.492
6 Cl 0.319 0.675 0.285
7 Cl 0.803 0.497 0.309
8 Cl 0.527 0.968 0.732
9 Cl 0.020 0.157 0.533
10 Cl 0.473 0.032 0.268
11 Cl 0.208 0.466 0.205
12 Cl 0.324 0.258 0.961
13 Cl 0.676 0.742 0.039
14 Cl 0.350 0.257 0.508
15 Te 0.057 0.658 0.338
16 Te 0.042 0.662 0.015
17 Te 0.343 0.714 0.881
18 Te 0.931 0.850 0.804
19 Te 0.206 0.949 0.703
20 Te 0.809 0.055 0.970
21 Te 0.794 0.051 0.297
22 Te 0.069 0.150 0.196
23 Te 0.339 0.235 0.728
24 Te 0.943 0.342 0.662
25 Te 0.657 0.286 0.119
26 Te 0.191 0.945 0.030
27 Te 0.958 0.338 0.985
28 Te 0.661 0.765 0.272
29 Rh 0.928 0.852 0.158
30 Rh 0.072 0.148 0.842

MP2020-corrected energy: -3.567 eV/atom

# 4
The following is a PBE calculation of Sr3Li2 after structural relaxation, from Materials Project.

a = 9.717 Å, b = 9.717 Å, c = 8.734 Å
α = 90.00°, β = 90.00°, γ = 90.00°
Sites, in units of the cell vectors:
1 Sr 0.850 0.150 0.000
2 Sr 0.150 0.850 0.000
3 Sr 0.712 0.712 0.000
4 Sr 0.212 0.788 0.500
5 Sr 0.000 0.500 0.250
6 Sr 0.350 0.350 0.500
7 Sr 0.500 0.000 0.250
8 Sr 0.288 0.288 0.000
9 Sr 0.500 0.000 0.750
10 Sr 0.788 0.212 0.500
11 Sr 0.000 0.500 0.750
12 Sr 0.650 0.650 0.500
13 Li 0.613 0.387 0.182
14 Li 0.387 0.613 0.818
15 Li 0.887 0.887 0.682
16 Li 0.113 0.113 0.682
17 Li 0.387 0.613 0.182
18 Li 0.113 0.113 0.318
19 Li 0.887 0.887 0.318
20 Li 0.613 0.387 0.818

total DFT energy (no corrections): -1.775 eV/atom

# 5
>>>
[Here the entry continues]
McMaster University and the University of Windsor. By 1986, he had landed at McGill University and
the Redpath Museum, where he continues today.
Green’s passion for nature goes well beyond the lab and his fieldwork. He is a leading figure in the
promotion of conservation, demonstrated most visibly through his membership with the Committee on the
Status of Endangered Wildlife in Canada (COSEWIC), which he chaired for four years starting in the late
1990s. Every year this national group issues a public report identifying species at risk, based on scientific
While serving as co-chair of COSEWIC’s Amphibians and Reptiles Subcommittee, he completed the first
assessment of all Canadian amphibians at risk. He also led a task force that documented the decline in
amphibian populations in Canada – a phenomenon that garnered much media attention given associations
with environmental degradation and habitat destruction. And as Chair of COSEWIC, Dr. Green
manoeuvered through a maze of policy and politics to bring COSEWIC assessments into the new Species
at Risk Act.
Press Release – Canadian frog expert receives national museum award.
Over his 25 years at the Redpath Museum, Green’s drive and determination has ensured that the museum
–one of Canada’s oldest–was brought into McGill University’s Faculty of Science. Since 2005, under his
leadership as Director, the museum’s public program has expanded and achieved stable funding, its
teaching lab has been completely renovated, and a new program Minor in Natural History has been
instituted along with new museum courses.
As noted by his nominators: “Any one of Professor Green’s records of accomplishment in the fields of
science, wildlife conservation, public service, education or advancement of museums would be--and have
been--worthy of commendation. Combined, they demonstrate the exceptional contributions that he has
made to museum-based natural history sciences and policy in Canada.”
The Bruce Naylor Award is named for the former director of the Royal Tyrrell Museum of Palaeontology.
Deceased in 2007, Dr. Naylor had also served as president of the ANHMC. The award will be presented
at a special reception of the ANHMC on October 24, 2011 in The Speaker’s Reception Room in the
Centre Block of Parliament Hill, Ottawa.
Created in 2003, the ANHMC now has 17 members from coast to coast. Its goal is to increase visibility of
Canada’s natural history museums, which are responsible for preserving precious collections of millions
of specimens that are the record of our natural heritage. The network strives to build capacity in the
areas of scientific research, collections development and education about the natural environment, for the
greater benefit of all Canadians.
The ANHMC’s 12 founding members are: the Royal B.C. Museum, Royal Alberta Museum, Royal Tyrrell
Museum of Palaeontology, Prince of Wales Northern Heritage Centre, Yukon Beringia Interpretive Centre,
Royal Saskatchewan Museum, Manitoba Museum, Canadian Museum of Nature, Montreal’s Espace pour la
Vie (Biodôme, Insectarium, Botanical Gardens and Planetarium), New Brunswick Museum, Nova Scotia
Museum of Natural History, and The Rooms Provincial Museum (Newfoundland and Labrador). The
network continues to grow and now includes 17 members, with the addition of the Royal Ontario Museum
in 2007, the Vancouver Aquarium, Toronto Zoo and Montreal’s Redpath Museum in 2009, and the Beaty
Biodiversity Museum in 2010.
-30For more information, contact:
Dan Smythe
Canadian Museum of Nature
(613) 566-4781
Press Release – Canadian frog expert receives national museum award.